Contents
# 1
FeCl3: simulated powder diffractogram (a wavelength of 1.5418 Å), based on a PBE-relaxed structure.

```
data_FeCl3
_cell_length_a 5.9697
_cell_length_b 5.9697
_cell_length_c 19.4761
_cell_angle_alpha 90.00
_cell_angle_beta 90.00
_cell_angle_gamma 120.00
_space_group_name_H-M_alt 'P 3 1 2'
_space_group_IT_number 149
loop_
_space_group_symop_operation_xyz
'x,y,z'
'-y,x-y,z'
'-x+y,-x,z'
'-y,-x,-z'
'-x+y,y,-z'
'x,x-y,-z'
loop_
_atom_site_label
_atom_site_fract_x
_atom_site_fract_y
_atom_site_fract_z
Fe1 0.0000 0.0000 0.0000
Fe2 0.0000 0.0000 0.3315
Fe3 0.3333 0.6667 0.3316
Fe4 0.6667 0.3333 0.0000
Cl1 0.0379 0.3333 0.6029
Cl2 0.0397 0.3334 0.2664
Cl3 0.3334 0.0192 0.9279
```

Largest 10 diffraction maxima, most intense first, 15 to 90 degrees two-theta:
2θ (°)	I/Imax
33.03	100.0
41.08	71.8
52.21	32.8
53.15	28.2
17.75	27.5
19.44	20.6
17.15	19.1
55.14	16.4
21.98	12.6
69.30	11.0

# 2
Nd2Er2In3: simulated powder diffractogram (a wavelength of 1.5418 Å), based on a PBE-relaxed structure.

```
data_Nd2Er2In3
_cell_length_a 4.626
_cell_length_b 24.895
_cell_length_c 3.467
_cell_angle_alpha 90.00
_cell_angle_beta 90.00
_cell_angle_gamma 90.00
_space_group_name_H-M_alt 'C m m m'
_space_group_IT_number 65
_space_group_name_Hall '-C 2 2'
loop_
_atom_site_label
_atom_site_fract_x
_atom_site_fract_y
_atom_site_fract_z
Nd1 0.000 0.072 0.000
Er1 0.000 0.204 0.000
In1 0.000 0.350 0.500
In2 0.000 0.500 0.500
```

Largest 10 diffraction maxima, most intense first, 15 to 90 degrees two-theta:
2θ (°)	I/Imax
31.74	100.0
32.47	81.9
38.92	61.9
62.94	27.6
33.69	26.5
56.21	20.5
34.08	17.2
52.42	14.8
65.54	13.5
52.81	13.0

# 3
Pm3GaAg2: simulated powder diffractogram (a wavelength of 1.5418 Å), based on a PBE-relaxed structure.

```
data_Pm3GaAg2
_cell_length_a 5.2335
_cell_length_b 5.2335
_cell_length_c 6.4778
_cell_angle_alpha 90.00
_cell_angle_beta 90.00
_cell_angle_gamma 120.00
_space_group_name_H-M_alt 'P -3 m 1'
_space_group_IT_number 164
_space_group_name_Hall '-P 3 2"'
loop_
_atom_site_label
_atom_site_fract_x
_atom_site_fract_y
_atom_site_fract_z
Pm1 0.0000 0.0000 0.0000
Pm2 0.3333 0.6667 0.6652
Ga1 0.0000 0.0000 0.5000
Ag1 0.3333 0.6667 0.1748
```

Largest 10 diffraction maxima, most intense first, 15 to 90 degrees two-theta:
2θ (°)	I/Imax
34.02	100.0
34.27	98.3
61.21	35.7
49.06	35.1
60.73	18.2
61.36	17.7
81.85	15.5
82.27	15.3
71.62	11.1
72.20	10.9

# 4
Sn3Ir2S3: simulated powder diffractogram (a wavelength of 1.5418 Å), based on a PBE-relaxed structure.

```
data_Sn3Ir2S3
_cell_length_a 12.4558
_cell_length_b 12.4558
_cell_length_c 15.2922
_cell_angle_alpha 90.00
_cell_angle_beta 90.00
_cell_angle_gamma 120.00
_space_group_name_H-M_alt 'R -3'
_space_group_IT_number 148
_space_group_name_Hall '-R 3'
loop_
_atom_site_label
_atom_site_fract_x
_atom_site_fract_y
_atom_site_fract_z
Sn1 0.0162 0.8395 0.3390
Sn2 0.0581 0.4574 0.6032
Ir1 0.0000 0.0000 0.2401
Ir2 0.9996 0.4975 0.7594
S1 0.0168 0.8356 0.8350
S2 0.0521 0.4511 0.1006
```

Largest 10 diffraction maxima, most intense first, 15 to 90 degrees two-theta:
2θ (°)	I/Imax
46.05	100.0
20.15	91.9
32.11	68.2
28.65	59.0
50.73	48.4
35.27	29.1
38.20	21.4
30.44	20.9
67.17	20.1
33.71	19.0

# 5
NdEu2P: simulated powder diffractogram (a wavelength of 1.5418 Å), based on a PBE-relaxed structure.

```
data_NdEu2P
_cell_length_a 3.9313
_cell_length_b 3.9313
_cell_length_c 32.0248
_cell_angle_alpha 90.00
_cell_angle_beta 90.00
_cell_angle_gamma 120.00
_space_group_name_H-M_alt 'R -3 m'
_space_group_IT_number 166
_space_group_name_Hall '-R 3 2"'
loop_
_atom_site_label
_atom_site_fract_x
_atom_site_fract_y
_atom_site_fract_z
Nd1 0.0000 0.0000 0.0000
Eu1 0.0000 0.0000 0.1133
P1 0.0000 0.0000 0.5000
```

Largest 10 diffraction maxima, most intense first, 15 to 90 degrees two-theta:
2θ (°)	I/Imax
26.32	100.0
34.59	77.1
25.03	55.1
38.60	44.7
53.24	42.7
46.18	42.7
26.77	39.9
71.53	22.3
32.79	18.3
29.72	17.2

# 6
LaPm5Ho3: simulated powder diffractogram (a wavelength of 1.5418 Å), based on a PBE-relaxed structure.

Activity
Repeat the whole of the rows earlier on without altering anything, please.

Done
# 1
FeCl3: simulated powder diffractogram (a wavelength of 1.5418 Å), based on a PBE-relaxed structure.

```
data_FeCl3
_cell_length_a 5.9697
_cell_length_b 5.9697
_cell_length_c 19.4761
_cell_angle_alpha 90.00
_cell_angle_beta 90.00
_cell_angle_gamma 120.00
_space_group_name_H-M_alt 'P 3 1 2'
_space_group_IT_number 149
loop_
_space_group_symop_operation_xyz
'x,y,z'
'-y,x-y,z'
'-x+y,-x,z'
'-y,-x,-z'
'-x+y,y,-z'
'x,x-y,-z'
loop_
_atom_site_label
_atom_site_fract_x
_atom_site_fract_y
_atom_site_fract_z
Fe1 0.0000 0.0000 0.0000
Fe2 0.0000 0.0000 0.3315
Fe3 0.3333 0.6667 0.3316
Fe4 0.6667 0.3333 0.0000
Cl1 0.0379 0.3333 0.6029
Cl2 0.0397 0.3334 0.2664
Cl3 0.3334 0.0192 0.9279
```

Largest 10 diffraction maxima, most intense first, 15 to 90 degrees two-theta:
2θ (°)	I/Imax
33.03	100.0
41.08	71.8
52.21	32.8
53.15	28.2
17.75	27.5
19.44	20.6
17.15	19.1
55.14	16.4
21.98	12.6
69.30	11.0

# 2
Nd2Er2In3: simulated powder diffractogram (a wavelength of 1.5418 Å), based on a PBE-relaxed structure.

```
data_Nd2Er2In3
_cell_length_a 4.626
_cell_length_b 24.895
_cell_length_c 3.467
_cell_angle_alpha 90.00
_cell_angle_beta 90.00
_cell_angle_gamma 90.00
_space_group_name_H-M_alt 'C m m m'
_space_group_IT_number 65
_space_group_name_Hall '-C 2 2'
loop_
_atom_site_label
_atom_site_fract_x
_atom_site_fract_y
_atom_site_fract_z
Nd1 0.000 0.072 0.000
Er1 0.000 0.204 0.000
In1 0.000 0.350 0.500
In2 0.000 0.500 0.500
```

Largest 10 diffraction maxima, most intense first, 15 to 90 degrees two-theta:
2θ (°)	I/Imax
31.74	100.0
32.47	81.9
38.92	61.9
62.94	27.6
33.69	26.5
56.21	20.5
34.08	17.2
52.42	14.8
65.54	13.5
52.81	13.0

# 3
Pm3GaAg2: simulated powder diffractogram (a wavelength of 1.5418 Å), based on a PBE-relaxed structure.

```
data_Pm3GaAg2
_cell_length_a 5.2335
_cell_length_b 5.2335
_cell_length_c 6.4778
_cell_angle_alpha 90.00
_cell_angle_beta 90.00
_cell_angle_gamma 120.00
_space_group_name_H-M_alt 'P -3 m 1'
_space_group_IT_number 164
_space_group_name_Hall '-P 3 2"'
loop_
_atom_site_label
_atom_site_fract_x
_atom_site_fract_y
_atom_site_fract_z
Pm1 0.0000 0.0000 0.0000
Pm2 0.3333 0.6667 0.6652
Ga1 0.0000 0.0000 0.5000
Ag1 0.3333 0.6667 0.1748
```

Largest 10 diffraction maxima, most intense first, 15 to 90 degrees two-theta:
2θ (°)	I/Imax
34.02	100.0
34.27	98.3
61.21	35.7
49.06	35.1
60.73	18.2
61.36	17.7
81.85	15.5
82.27	15.3
71.62	11.1
72.20	10.9

# 4
Sn3Ir2S3: simulated powder diffractogram (a wavelength of 1.5418 Å), based on a PBE-relaxed structure.

```
data_Sn3Ir2S3
_cell_length_a 12.4558
_cell_length_b 12.4558
_cell_length_c 15.2922
_cell_angle_alpha 90.00
_cell_angle_beta 90.00
_cell_angle_gamma 120.00
_space_group_name_H-M_alt 'R -3'
_space_group_IT_number 148
_space_group_name_Hall '-R 3'
loop_
_atom_site_label
_atom_site_fract_x
_atom_site_fract_y
_atom_site_fract_z
Sn1 0.0162 0.8395 0.3390
Sn2 0.0581 0.4574 0.6032
Ir1 0.0000 0.0000 0.2401
Ir2 0.9996 0.4975 0.7594
S1 0.0168 0.8356 0.8350
S2 0.0521 0.4511 0.1006
```

Largest 10 diffraction maxima, most intense first, 15 to 90 degrees two-theta:
2θ (°)	I/Imax
46.05	100.0
20.15	91.9
32.11	68.2
28.65	59.0
50.73	48.4
35.27	29.1
38.20	21.4
30.44	20.9
67.17	20.1
33.71	19.0

# 5
NdEu2P: simulated powder diffractogram (a wavelength of 1.5418 Å), based on a PBE-relaxed structure.

```
data_NdEu2P
_cell_length_a 3.9313
_cell_length_b 3.9313
_cell_length_c 32.0248
_cell_angle_alpha 90.00
_cell_angle_beta 90.00
_cell_angle_gamma 120.00
_space_group_name_H-M_alt 'R -3 m'
_space_group_IT_number 166
_space_group_name_Hall '-R 3 2"'
loop_
_atom_site_label
_atom_site_fract_x
_atom_site_fract_y
_atom_site_fract_z
Nd1 0.0000 0.0000 0.0000
Eu1 0.0000 0.0000 0.1133
P1 0.0000 0.0000 0.5000
```

Largest 10 diffraction maxima, most intense first, 15 to 90 degrees two-theta:
2θ (°)	I/Imax
26.32	100.0
34.59	77.1
25.03	55.1
38.60	44.7
53.24	42.7
46.18	42.7
26.77	39.9
71.53	22.3
32.79	18.3
29.72	17.2

# 6
LaPm5Ho3: simulated powder diffractogram (a wavelength of 1.5418 Å), based on a PBE-relaxed structure.